(Assignment)
Please quote the listing further down without altering anything.
(Excerpt)
'''
[1]
{
  "formula": "C36H43EuN8OS2Si2",
  "method": "the ωB97M-V functional and the def2-TZVPD basis",
  "s2": 15.79,
  "e_above_lowest_kcal_mol": 0.0,
  "fmax_ev_per_a": 1.815,
  "charge": -1,
  "orbital_gap_ev": [5.507, 5.872],
  "spin_multiplicity": 8,
  "homo_ev": [-3.23, -3.70],
  "e_tot_ha": -3996.78597,
  "species": ["Eu", "C", "C", "C", "C", "C", "C", "N", "C", "C", "C", "C", "C", "C", "N", "N", "C", "C", "C", "C", "C", "N", "H", "H", "H", "H", "H", "H", "H", "H", "H", "H", "H", "H", "H", "C", "Si", "C", "C", "C", "C", "C", "C", "C", "C", "N", "Si", "C", "C", "C", "H", "H", "H", "H", "H", "H", "H", "H", "H", "H", "H", "H", "H", "H", "H", "H", "H", "H", "H", "H", "H", "H", "O", "S", "N", "N", "C", "S", "N", "C", "C", "C", "C", "C", "C", "H", "H", "H", "H", "H", "H", "H", "H"],
  "coordinates": [[-0.056, -0.676, 0.694], [-5.810, -0.220, -1.370], [-5.059, -0.097, -0.206], [-3.738, -0.490, -0.175], [-3.128, -1.078, -1.294], [-3.893, -1.158, -2.481], [-5.208, -0.734, -2.512], [-1.810, -1.431, -1.206], [-1.378, -2.606, -1.777], [-2.235, -3.653, -2.155], [-1.717, -4.810, -2.726], [-0.351, -4.960, -2.916], [0.519, -3.963, -2.498], [0.022, -2.803, -1.913], [0.852, -1.805, -1.398], [2.141, -1.979, -1.674], [2.974, -1.169, -1.031], [4.354, -1.222, -1.428], [5.277, -0.461, -0.800], [4.865, 0.355, 0.283], [3.539, 0.359, 0.615], [2.578, -0.340, -0.020], [-6.849, 0.096, -1.389], [-5.506, 0.317, 0.693], [-3.171, -0.408, 0.741], [-3.430, -1.582, -3.366], [-5.783, -0.817, -3.432], [-3.297, -3.569, -1.987], [-2.404, -5.606, -2.989], [0.047, -5.863, -3.360], [1.589, -4.076, -2.604], [4.599, -1.901, -2.228], [6.318, -0.485, -1.108], [5.571, 0.953, 0.836], [3.210, 0.958, 1.452], [-0.941, 4.064, 2.027], [0.534, 2.902, 2.310], [1.596, 3.756, 3.655], [1.602, 3.031, 0.727], [-0.039, 1.151, 2.718], [1.042, 0.372, 3.396], [1.557, 0.664, 4.673], [2.552, -0.118, 5.211], [3.051, -1.189, 4.484], [2.495, -1.439, 3.243], [1.513, -0.688, 2.725], [-1.616, 1.027, 3.750], [-3.103, 1.561, 2.689], [-1.859, -0.777, 4.304], [-1.700, 2.055, 5.367], [-0.570, 5.089, 1.864], [-1.632, 4.086, 2.868], [-1.507, 3.776, 1.137], [1.868, 4.766, 3.326], [2.524, 3.207, 3.841], [1.076, 3.848, 4.610], [1.201, 3.809, 0.076], [1.571, 2.120, 0.133], [2.647, 3.254, 0.957], [1.177, 1.522, 5.221], [2.927, 0.111, 6.206], [3.848, -1.812, 4.868], [2.820, -2.273, 2.633], [-2.812, 1.775, 1.660], [-3.578, 2.461, 3.087], [-3.861, 0.777, 2.667], [-2.202, -1.407, 3.480], [-2.597, -0.844, 5.111], [-0.927, -1.204, 4.680], [-1.457, 3.110, 5.196], [-1.028, 1.660, 6.129], [-2.712, 2.013, 5.780], [0.693, -3.007, 1.141], [-0.665, -3.377, 1.655], [-1.618, -2.257, 1.601], [-1.614, 0.850, -3.555], [-0.609, 1.111, -2.712], [-0.940, 1.678, -1.160], [0.669, 1.002, -3.124], [1.165, 0.652, -4.400], [0.524, 1.040, -5.573], [1.047, 0.650, -6.794], [2.216, -0.097, -6.860], [2.876, -0.434, -5.688], [2.357, -0.065, -4.458], [-2.530, 0.781, -3.120], [-1.452, 0.266, -4.362], [1.332, 1.058, -2.361], [-0.351, 1.667, -5.524], [0.543, 0.943, -7.705], [2.621, -0.387, -7.822], [3.795, -0.999, -5.717], [2.853, -0.364, -3.546]]
}

***

[2]
{
  "formula": "C36H43IrN3O4P2S2",
  "method": "the ωB97M-V functional and the def2-TZVPD basis",
  "s2": 8.78,
  "e_above_lowest_kcal_mol": 4.0,
  "fmax_ev_per_a": 0.519,
  "charge": 2,
  "orbital_gap_ev": [8.488, 5.235],
  "spin_multiplicity": 6,
  "homo_ev": [-12.62, -13.75],
  "e_tot_ha": -3445.72304,
  "species": ["Ir", "O", "S", "O", "O", "C", "C", "C", "C", "C", "C", "P", "C", "C", "C", "C", "C", "C", "C", "C", "C", "C", "C", "C", "H", "H", "H", "H", "H", "H", "H", "H", "H", "H", "H", "H", "H", "H", "O", "P", "N", "C", "C", "C", "C", "N", "C", "C", "C", "C", "N", "C", "C", "C", "C", "H", "H", "H", "H", "H", "H", "H", "H", "H", "H", "H", "H", "H", "H", "H", "H", "H", "H", "H", "H", "H", "H", "H", "H", "S", "C", "C", "C", "C", "C", "C", "H", "H", "H", "H", "H"],
'''
(Response)
[1]
{
  "formula": "C36H43EuN8OS2Si2",
  "method": "the ωB97M-V functional and the def2-TZVPD basis",
  "s2": 15.79,
  "e_above_lowest_kcal_mol": 0.0,
  "fmax_ev_per_a": 1.815,
  "charge": -1,
  "orbital_gap_ev": [5.507, 5.872],
  "spin_multiplicity": 8,
  "homo_ev": [-3.23, -3.70],
  "e_tot_ha": -3996.78597,
  "species": ["Eu", "C", "C", "C", "C", "C", "C", "N", "C", "C", "C", "C", "C", "C", "N", "N", "C", "C", "C", "C", "C", "N", "H", "H", "H", "H", "H", "H", "H", "H", "H", "H", "H", "H", "H", "C", "Si", "C", "C", "C", "C", "C", "C", "C", "C", "N", "Si", "C", "C", "C", "H", "H", "H", "H", "H", "H", "H", "H", "H", "H", "H", "H", "H", "H", "H", "H", "H", "H", "H", "H", "H", "H", "O", "S", "N", "N", "C", "S", "N", "C", "C", "C", "C", "C", "C", "H", "H", "H", "H", "H", "H", "H", "H"],
  "coordinates": [[-0.056, -0.676, 0.694], [-5.810, -0.220, -1.370], [-5.059, -0.097, -0.206], [-3.738, -0.490, -0.175], [-3.128, -1.078, -1.294], [-3.893, -1.158, -2.481], [-5.208, -0.734, -2.512], [-1.810, -1.431, -1.206], [-1.378, -2.606, -1.777], [-2.235, -3.653, -2.155], [-1.717, -4.810, -2.726], [-0.351, -4.960, -2.916], [0.519, -3.963, -2.498], [0.022, -2.803, -1.913], [0.852, -1.805, -1.398], [2.141, -1.979, -1.674], [2.974, -1.169, -1.031], [4.354, -1.222, -1.428], [5.277, -0.461, -0.800], [4.865, 0.355, 0.283], [3.539, 0.359, 0.615], [2.578, -0.340, -0.020], [-6.849, 0.096, -1.389], [-5.506, 0.317, 0.693], [-3.171, -0.408, 0.741], [-3.430, -1.582, -3.366], [-5.783, -0.817, -3.432], [-3.297, -3.569, -1.987], [-2.404, -5.606, -2.989], [0.047, -5.863, -3.360], [1.589, -4.076, -2.604], [4.599, -1.901, -2.228], [6.318, -0.485, -1.108], [5.571, 0.953, 0.836], [3.210, 0.958, 1.452], [-0.941, 4.064, 2.027], [0.534, 2.902, 2.310], [1.596, 3.756, 3.655], [1.602, 3.031, 0.727], [-0.039, 1.151, 2.718], [1.042, 0.372, 3.396], [1.557, 0.664, 4.673], [2.552, -0.118, 5.211], [3.051, -1.189, 4.484], [2.495, -1.439, 3.243], [1.513, -0.688, 2.725], [-1.616, 1.027, 3.750], [-3.103, 1.561, 2.689], [-1.859, -0.777, 4.304], [-1.700, 2.055, 5.367], [-0.570, 5.089, 1.864], [-1.632, 4.086, 2.868], [-1.507, 3.776, 1.137], [1.868, 4.766, 3.326], [2.524, 3.207, 3.841], [1.076, 3.848, 4.610], [1.201, 3.809, 0.076], [1.571, 2.120, 0.133], [2.647, 3.254, 0.957], [1.177, 1.522, 5.221], [2.927, 0.111, 6.206], [3.848, -1.812, 4.868], [2.820, -2.273, 2.633], [-2.812, 1.775, 1.660], [-3.578, 2.461, 3.087], [-3.861, 0.777, 2.667], [-2.202, -1.407, 3.480], [-2.597, -0.844, 5.111], [-0.927, -1.204, 4.680], [-1.457, 3.110, 5.196], [-1.028, 1.660, 6.129], [-2.712, 2.013, 5.780], [0.693, -3.007, 1.141], [-0.665, -3.377, 1.655], [-1.618, -2.257, 1.601], [-1.614, 0.850, -3.555], [-0.609, 1.111, -2.712], [-0.940, 1.678, -1.160], [0.669, 1.002, -3.124], [1.165, 0.652, -4.400], [0.524, 1.040, -5.573], [1.047, 0.650, -6.794], [2.216, -0.097, -6.860], [2.876, -0.434, -5.688], [2.357, -0.065, -4.458], [-2.530, 0.781, -3.120], [-1.452, 0.266, -4.362], [1.332, 1.058, -2.361], [-0.351, 1.667, -5.524], [0.543, 0.943, -7.705], [2.621, -0.387, -7.822], [3.795, -0.999, -5.717], [2.853, -0.364, -3.546]]
}

***

[2]
{
  "formula": "C36H43IrN3O4P2S2",
  "method": "the ωB97M-V functional and the def2-TZVPD basis",
  "s2": 8.78,
  "e_above_lowest_kcal_mol": 4.0,
  "fmax_ev_per_a": 0.519,
  "charge": 2,
  "orbital_gap_ev": [8.488, 5.235],
  "spin_multiplicity": 6,
  "homo_ev": [-12.62, -13.75],
  "e_tot_ha": -3445.72304,
  "species": ["Ir", "O", "S", "O", "O", "C", "C", "C", "C", "C", "C", "P", "C", "C", "C", "C", "C", "C", "C", "C", "C", "C", "C", "C", "H", "H", "H", "H", "H", "H", "H", "H", "H", "H", "H", "H", "H", "H", "O", "P", "N", "C", "C", "C", "C", "N", "C", "C", "C", "C", "N", "C", "C", "C", "C", "H", "H", "H", "H", "H", "H", "H", "H", "H", "H", "H", "H", "H", "H", "H", "H", "H", "H", "H", "H", "H", "H", "H", "H", "S", "C", "C", "C", "C", "C", "C", "H", "H", "H", "H", "H"],